%% \title{ITESM-MIT-MasterThesis}
%% This is a sample file that makes use of the style file that is necessary to generate a properly set up document for your master thesis
\documentclass[english,12pt,oneside,openright]{report} %% This sets the printing on just one side of a page
Misplaced crystal structures
Simulated X-ray diffraction stick pattern of La2PrZn2Cu2Si4 for CuKα, from a crystal structure in OQMD, relaxed with PBE.

Most intense lines, 2θ = 10–90°, low angle first:
- 2θ = 23.85°, 3.730 Å, intensity 18
- 2θ = 27.94°, 3.193 Å, intensity 9
- 2θ = 33.44°, 2.680 Å, intensity 100
- 2θ = 39.67°, 2.272 Å, intensity 16
- 2θ = 42.70°, 2.117 Å, intensity 16
- 2θ = 43.05°, 2.101 Å, intensity 16
- 2θ = 55.54°, 1.655 Å, intensity 12
- 2θ = 62.25°, 1.491 Å, intensity 10
- 2θ = 69.45°, 1.353 Å, intensity 10
- 2θ = 72.29°, 1.307 Å, intensity 10

Atomic structure:
```
data_La2PrZn2Cu2Si4
_space_group_name_H-M_alt 'P 1'
_space_group_IT_number 1
_space_group_name_Hall 'P 1'
_cell_length_a 12.511
_cell_length_b 12.511
_cell_length_c 12.511
_cell_angle_alpha 160.66
_cell_angle_beta 160.51
_cell_angle_gamma 27.59
loop_
_atom_site_label
_atom_site_type_symbol
_atom_site_fract_x
_atom_site_fract_y
_atom_site_fract_z
La1 La 0.152 0.152 0.000
La2 La 0.848 0.848 0.000
Pr1 Pr 0.000 0.500 0.500
Zn1 Zn 0.402 0.402 0.000
Zn2 Zn 0.598 0.598 0.000
Cu1 Cu 0.250 0.750 0.500
Cu2 Cu 0.750 0.250 0.500
Si1 Si 0.302 0.302 0.000
Si2 Si 0.452 0.952 0.500
Si3 Si 0.548 0.048 0.500
Si4 Si 0.698 0.698 0.000
```

---

Simulated X-ray diffraction stick pattern of La2PrZn2Cu2Si4 for CuKα, from a crystal structure in OQMD, relaxed with PBE.

Most intense lines, 2θ = 10–90°, low angle first:
- 2θ = 23.90°, 3.724 Å, intensity 22
- 2θ = 33.17°, 2.701 Å, intensity 38
- 2θ = 33.50°, 2.675 Å, intensity 100
- 2θ = 42.84°, 2.111 Å, intensity 20
- 2θ = 43.30°, 2.090 Å, intensity 20
- 2θ = 46.03°, 1.972 Å, intensity 18
- 2θ = 55.61°, 1.653 Å, intensity 17
- 2θ = 62.55°, 1.485 Å, intensity 13
- 2θ = 64.69°, 1.441 Å, intensity 13
- 2θ = 72.52°, 1.303 Å, intensity 10

Atomic structure:
```
data_La2PrZn2Cu2Si4
_space_group_name_H-M_alt 'P 1'
_space_group_IT_number 1
_space_group_name_Hall 'P 1'
_cell_length_a 12.655
_cell_length_b 12.655
_cell_length_c 12.655
_cell_angle_alpha 160.99
_cell_angle_beta 160.80
_cell_angle_gamma 27.15
loop_
_atom_site_label
_atom_site_type_symbol
_atom_site_fract_x
_atom_site_fract_y
_atom_site_fract_z
La1 La 0.145 0.145 0.000
La2 La 0.855 0.855 0.000
Pr1 Pr 0.000 0.500 0.500
Zn1 Zn 0.250 0.750 0.500
Zn2 Zn 0.750 0.250 0.500
Cu1 Cu 0.406 0.406 0.000
Cu2 Cu 0.594 0.594 0.000
Si1 Si 0.310 0.310 0.000
Si2 Si 0.451 0.951 0.500
Si3 Si 0.549 0.049 0.500
Si4 Si 0.690 0.690 0.000
```

---

Simulated X-ray diffraction stick pattern of RbLa2Cu3S5 for CuKα, from a crystal structure in OQMD, relaxed with PBE.

Most intense lines, 2θ = 10–90°, low angle first:
- 2θ = 25.88°, 3.442 Å, intensity 45
- 2θ = 27.46°, 3.248 Å, intensity 89
- 2θ = 29.02°, 3.077 Å, intensity 34
- 2θ = 29.48°, 3.030 Å, intensity 37
- 2θ = 30.82°, 2.901 Å, intensity 100
- 2θ = 35.74°, 2.512 Å, intensity 47
- 2θ = 38.92°, 2.314 Å, intensity 29
- 2θ = 40.33°, 2.236 Å, intensity 27
- 2θ = 44.38°, 2.041 Å, intensity 49
- 2θ = 46.98°, 1.934 Å, intensity 41

Atomic structure:
```
data_RbLa2Cu3S5
Back to the page
%\documentclass[english,12pt,twoside,openright]{report} %% This sets the printing on both sides of a page
\usepackage{phdThesisFormat} %% This is the sty file that is to be used to generate the
%% document. This line is a must!!!
\usepackage{times} %% This is the font that the document is to use. This is a must!!!
%% Useful packages to use in your document
%% These are optional but I recommend you used them and that you keep them here.
\usepackage[pdftex]{graphicx} %% This package is necessary to use pdflatex excellent results
%% Definition of new commands
%% Here you set up the variables according to your work
\advisor{Dr. Name-Last-Name} %% Your advisor's name
\advisorInstitution{Tecnol\'{o}gico de Monterrey} %% Your advisor's institution
\committeeMemberA{Committee member A's name} %% Committee member A's name
\committeeMemberAInstitution{Committee member A's institution} %% Committee member A's institution
\committeeMemberB{Committee member B's name} %% Committee member B's name
\committeeMemberBInstitution{Committee member B's institution} %% Committee member B's institution
\graduateProgramDirector{Dr. Jorge Welti Chanes} %% Graduate program director's name
\researchCenter{Autonomous Agents for Ambient intelligence (AAAmI)} %% The research center you are associated with
# Misplaced crystal structures
For Ho5Al, the GGA-PBE geometry in OQMD gives the calculated XRD peak list in this record (CuKα).
Intensities are scaled so that the largest is 100.

Cell and atoms:
abc: 6.2676 6.2676 5.6815
angles: 90.00 90.00 120.00
Sites, in units of the cell vectors:
Ho1 0.0000 0.5000 0.0000
Ho2 0.3333 0.6667 0.5000
Ho3 0.5000 0.0000 0.0000
Ho4 0.5000 0.5000 0.0000
Ho5 0.6667 0.3333 0.5000
Al1 0.0000 0.0000 0.5000

Top 12 peaks for 15 to 90 degrees two-theta, most intense first:
2θ = 36.70°, rel. 100.0, (2 0 1)
2θ = 32.63°, rel. 93.5, (1 1 1)
2θ = 16.33°, rel. 82.9, (1 0 0)
2θ = 31.49°, rel. 45.6, (0 0 2)
2θ = 68.37°, rel. 29.6, (2 2 2)
2θ = 59.52°, rel. 24.8, (2 0 3)
2θ = 35.67°, rel. 24.7, (1 0 2)
2θ = 53.12°, rel. 23.7, (3 0 1)
2θ = 58.95°, rel. 23.1, (2 2 0)
2θ = 33.01°, rel. 21.2, (2 0 0)
2θ = 56.80°, rel. 19.4, (1 1 3)
2θ = 46.26°, rel. 16.6, (2 0 2)


For HoAl, the GGA-PBE geometry in OQMD gives the calculated XRD peak list in this record (CuKα).
Intensities are scaled so that the largest is 100.

Cell and atoms:
abc: 5.8233 11.3778 5.5950
angles: 90.00 90.00 90.00
Sites, in units of the cell vectors:
Ho1 0.1020 0.1688 0.2500
Ho2 0.1020 0.3312 0.7500
Ho3 0.3397 0.0163 0.7500
Ho4 0.3397 0.4837 0.2500
Ho5 0.6603 0.5163 0.7500
Ho6 0.6603 0.9837 0.2500
Ho7 0.8980 0.6688 0.2500
Ho8 0.8980 0.8312 0.7500
Al1 0.1587 0.5977 0.7500
Al2 0.1587 0.9023 0.2500
Al3 0.4292 0.7500 0.0000
Al4 0.4292 0.7500 0.5000
Al5 0.5708 0.2500 0.0000
Al6 0.5708 0.2500 0.5000
Al7 0.8413 0.0977 0.7500
Al8 0.8413 0.4023 0.2500

Top 12 peaks for 15 to 90 degrees two-theta, most intense first:
2θ = 32.40°, rel. 100.0, (1 3 1)
2θ = 35.64°, rel. 87.8, (2 1 1)
2θ = 31.99°, rel. 49.8, (0 0 2)
2θ = 27.10°, rel. 37.9, (1 2 1)
2θ = 39.06°, rel. 37.6, (1 2 2)
2θ = 35.40°, rel. 37.0, (0 4 1)
2θ = 21.84°, rel. 36.6, (1 2 0)
2θ = 17.11°, rel. 22.6, (1 1 0)
2θ = 35.11°, rel. 22.4, (1 4 0)
2θ = 23.39°, rel. 20.3, (1 1 1)
2θ = 57.28°, rel. 19.9, (1 3 3)
2θ = 59.41°, rel. 19.0, (2 1 3)


For HoAl4InIr, the GGA-PBE geometry in OQMD gives the calculated XRD peak list in this record (CuKα).
Intensities are scaled so that the largest is 100.

Cell and atoms:
abc: 4.3620 4.3620 6.9994
angles: 90.00 90.00 90.00
Sites, in units of the cell vectors:
Ho1 0.0000 0.0000 0.0000
Al1 0.0000 0.5000 0.3099
Al2 0.0000 0.5000 0.6901
Al3 0.5000 0.0000 0.3099
Al4 0.5000 0.0000 0.6901
In1 0.5000 0.5000 0.0000
Ir1 0.0000 0.0000 0.5000

Top 12 peaks for 15 to 90 degrees two-theta, most intense first:
2θ = 38.92°, rel. 100.0, (1 1 2)
2θ = 28.95°, rel. 47.2, (1 1 0)
2θ = 20.36°, rel. 47.1, (1 0 0)
2θ = 41.40°, rel. 46.6, (2 0 0)
2θ = 25.45°, rel. 38.1, (0 0 2)
2θ = 73.84°, rel. 30.4, (3 1 2)
2θ = 32.81°, rel. 29.0, (1 0 2)
2θ = 49.23°, rel. 26.1, (2 0 2)
2θ = 24.04°, rel. 24.0, (1 0 1)
2θ = 60.87°, rel. 19.2, (1 1 4)
2θ = 59.98°, rel. 15.5, (2 2 0)
2θ = 53.80°, rel. 14.9, (2 1 2)
\doctoralStudent{First-Middle-Last-Name (Student)} %% Very important: Your name
\dissertationMonth{May} %% The month when you give your thesis
\dissertationYear{2015} %% The year when you give your thesis
\dissertationTitle{Thesis title} %% The title of your dissertation
\campus{Monterrey} %% The campus where you are to give your thesis
\major{Intelligent Systems} %% Your major
\abstractFile{abstractFile} %% This is a plain tex file that holds your abstract
\acknowledgementFile{acknowledgementFile} %% This is a plain tex file that holds your acknowledgements
\dedicationFile{dedicationFile} %% This is a plain tex file that holds your dedication
\bibliographyFile{References} %% This is a bib file with te bibliography for your dissertation
% The following commands are not to be changed as they prepare the initial pages of the document. Also, they set up the environment for the real content. Do not move them or erase them; they are needed for a proper presentation of your dissertation
% Here you call the files that you prepared in order to get a nice and concise master thesis (i.e., the chapters). Just call on the command as many times as necessary. Note that it is the same for either thesis chapters or appendices.
\appendix %% This command is needed before you start inserting your
%% appendices for proper formatting.
% These two last commands are not to be changed either. The first one prepares the bibliography and sets its style while the second inserts the author's vita.